Thursday 21 June 2018
• Materials data, kept here for reference:
-- begin --
1.
The following is a meta-GGA r2SCAN calculation of crystalline V4Fe2O13 at its relaxed geometry, from Materials Project.

abc: 9.419 8.300 14.565
angles: 77.84 90.00 90.00
Positions (direct):
V 0.277 0.748 0.672
V 0.740 0.856 0.324
V 0.723 0.252 0.328
V 0.260 0.144 0.676
V 0.240 0.144 0.176
V 0.791 0.958 0.092
V 0.291 0.042 0.408
V 0.760 0.856 0.824
V 0.287 0.531 0.905
V 0.709 0.958 0.592
V 0.713 0.469 0.095
V 0.209 0.042 0.908
V 0.777 0.252 0.828
V 0.213 0.531 0.405
V 0.223 0.748 0.172
V 0.787 0.469 0.595
Fe 0.499 0.695 0.482
Fe 0.499 0.807 0.008
Fe 0.501 0.193 0.992
Fe 0.501 0.305 0.518
Fe 0.999 0.193 0.492
Fe 0.001 0.695 0.982
Fe 0.001 0.807 0.508
Fe 0.999 0.305 0.018
O 0.836 0.055 0.815
O 0.360 0.343 0.923
O 0.136 0.857 0.909
O 0.615 0.863 0.522
O 0.613 0.318 0.402
O 0.722 0.388 0.218
O 0.664 0.055 0.315
O 0.615 0.229 0.875
O 0.115 0.650 0.460
O 0.116 0.162 0.608
O 0.884 0.838 0.392
O 0.385 0.650 0.960
O 0.211 0.162 0.791
O 0.364 0.857 0.409
O 0.222 0.612 0.282
O 0.113 0.682 0.098
O 0.711 0.838 0.709
O 0.778 0.388 0.718
O 0.615 0.495 0.548
O 0.885 0.350 0.540
O 0.336 0.945 0.685
O 0.164 0.945 0.185
O 0.289 0.162 0.291
O 0.619 0.714 0.370
O 0.885 0.863 0.022
O 0.384 0.162 0.108
O 0.385 0.137 0.478
O 0.618 0.993 0.047
O 0.860 0.657 0.577
O 0.115 0.505 0.952
O 0.885 0.229 0.375
O 0.118 0.007 0.453
O 0.882 0.993 0.547
O 0.387 0.682 0.598
O 0.881 0.714 0.870
O 0.616 0.838 0.892
O 0.382 0.007 0.953
O 0.115 0.771 0.625
O 0.885 0.495 0.048
O 0.615 0.350 0.040
O 0.140 0.343 0.423
O 0.278 0.612 0.782
O 0.115 0.137 0.978
O 0.381 0.286 0.630
O 0.385 0.505 0.452
O 0.789 0.838 0.209
O 0.636 0.143 0.591
O 0.119 0.286 0.130
O 0.864 0.143 0.091
O 0.385 0.771 0.125
O 0.887 0.318 0.902
O 0.640 0.657 0.077

## Properties
The density comes out at 3.1 g/cm3. As for the space group: P2_1/c. The calculation puts the total energy at -10.83 eV per atom. The formation energy comes out at -2.261 eV per atom.

2.
The following is a meta-GGA r2SCAN calculation of crystalline FeOF at its relaxed geometry, from Materials Project.

abc: 4.665 5.571 5.546
angles: 65.62 90.00 90.00
Positions (direct):
Fe 0.474 0.997 0.531
Fe 0.526 0.503 0.969
Fe 0.974 0.003 0.969
Fe 0.026 0.497 0.530
O 0.197 0.156 0.651
O 0.303 0.656 0.651
O 0.697 0.844 0.849
O 0.803 0.344 0.849
F 0.195 0.646 0.154
F 0.305 0.146 0.154
F 0.695 0.354 0.346
F 0.805 0.854 0.346

## Properties
The density comes out at 4.6 g/cm3. As for the space group: P2_1/c. The calculation puts the total energy at -9.94 eV per atom. The formation energy comes out at -2.101 eV per atom.

3.
The following is a meta-GGA r2SCAN calculation of crystalline NdYMg2 at its relaxed geometry, from Materials Project.

abc: 5.444 5.444 5.444
angles: 60.00 60.00 60.00
Positions (direct):
Nd 0.500 0.500 0.500
Y 0.000 0.000 0.000
Mg 0.250 0.250 0.250
Mg 0.750 0.750 0.750

## Properties
-- stop --
• So much for the materials data:

How to read newzpaper for upsc:
Between two parts of the text: data records
┌──
[1]
VASP calculation (GGA-PBE) on a geometry-optimized LiSb3P2O10 structure.

Size of the total moment ... 0.003 μB per formula unit
Symmetry ... P1, No. 1

a = 5.2970 Å, b = 6.7065 Å, c = 6.9953 Å
α = 112.07°, β = 109.83°, γ = 85.42°
Fractional positions:
O: 0.5868 0.6836 0.2569
Li: 0.8894 0.4865 0.9984
Sb: 0.3845 0.1651 0.7656
O: 0.0444 0.5529 0.7419
O: 0.3869 0.0541 0.3163
O: 0.7194 0.2497 0.0413
P: 0.2890 0.6195 0.7085
O: 0.8756 0.0036 0.3273
P: 0.6500 0.9303 0.3808
Sb: 0.5597 0.4150 0.3374
O: 0.2205 0.2855 0.0523
O: 0.7222 0.9986 0.6349
Sb: 0.0151 0.0132 0.0348
O: 0.2442 0.5747 0.4612
O: 0.5360 0.4892 0.7869
O: 0.3605 0.8680 0.8433

=====

[2]
VASP calculation (GGA-PBE) on a geometry-optimized LiSbP5O15 structure.

Size of the total moment ... 0.998 μB per formula unit
Symmetry ... P2_1/c, No. 14

a = 14.0654 Å, b = 9.6723 Å, c = 10.8313 Å
α = 67.18°, β = 90.00°, γ = 90.00°
Fractional positions:
P: 0.5926 0.8254 0.5168
O: 0.0183 0.2650 0.8777
P: 0.9074 0.8254 0.0168
O: 0.3467 0.3013 0.5200
O: 0.2557 0.9330 0.6241
O: 0.1703 0.1197 0.9065
P: 0.7417 0.0034 0.0229
O: 0.0824 0.5609 0.8881
O: 0.6275 0.5168 0.3640
O: 0.5566 0.9389 0.3903
O: 0.8720 0.5022 0.3595
Li: 0.8557 0.0724 0.7502
Sb: 0.5007 0.5033 0.7476
P: 0.7583 0.0034 0.5229
O: 0.2730 0.9048 0.8966
O: 0.8297 0.8803 0.0935
O: 0.6371 0.6927 0.9647
O: 0.4891 0.2809 0.8748
O: 0.0773 0.5725 0.3932
O: 0.3720 0.4978 0.1405
Sb: 0.4993 0.4967 0.2524
P: 0.8525 0.5306 0.9962
O: 0.6533 0.6987 0.4800
O: 0.7557 0.0670 0.8759
P: 0.1413 0.4781 0.5088
O: 0.0566 0.0611 0.1097
P: 0.9257 0.8149 0.5049
O: 0.7270 0.0952 0.1034
P: 0.5743 0.8149 0.0049
O: 0.6703 0.8803 0.5935
O: 0.5183 0.7350 0.6223
O: 0.5773 0.4275 0.1068
O: 0.5824 0.4391 0.6119
O: 0.4769 0.0819 0.1127
O: 0.4817 0.2650 0.3777
O: 0.4176 0.5609 0.3881
O: 0.3725 0.4832 0.6360
O: 0.3297 0.1197 0.4065
Li: 0.6443 0.0724 0.2502
O: 0.4227 0.5725 0.8932
O: 0.3629 0.3073 0.0353
P: 0.0926 0.1746 0.9832
O: 0.8629 0.6927 0.4647
P: 0.3525 0.4694 0.5038
O: 0.9891 0.7191 0.6252
P: 0.4257 0.1851 0.9951
Li: 0.3557 0.9276 0.7498
P: 0.6475 0.5306 0.4962
O: 0.9769 0.9181 0.3873
O: 0.7528 0.4706 0.5417
O: 0.7730 0.0952 0.6034
O: 0.6280 0.5022 0.8595
O: 0.3449 0.1228 0.9307
P: 0.8587 0.5219 0.4912
O: 0.5231 0.9181 0.8873
O: 0.2270 0.9048 0.3966
Sb: 0.0007 0.4967 0.7524
O: 0.9817 0.7350 0.1223
O: 0.1533 0.3013 0.0200
P: 0.2417 0.9966 0.4771
O: 0.9227 0.4275 0.6068
O: 0.1371 0.3073 0.5353
P: 0.0743 0.1851 0.4951
O: 0.9176 0.4391 0.1119
O: 0.1551 0.1228 0.4307
P: 0.4074 0.1746 0.4832
O: 0.2472 0.5294 0.4583
O: 0.8725 0.5168 0.8640
O: 0.8467 0.6987 0.9800
P: 0.1475 0.4694 0.0038
O: 0.8449 0.8772 0.5693
O: 0.7472 0.4706 0.0417
O: 0.5109 0.7191 0.1252
O: 0.2443 0.9330 0.1241
O: 0.1280 0.4978 0.6405
Li: 0.1443 0.9276 0.2498
O: 0.7443 0.0670 0.3759
Sb: 0.9993 0.5033 0.2476
P: 0.2583 0.9966 0.9771
O: 0.9434 0.9389 0.8903
O: 0.1275 0.4832 0.1360
O: 0.2528 0.5294 0.9583
O: 0.6551 0.8772 0.0693
O: 0.0109 0.2809 0.3748
O: 0.0231 0.0819 0.6127
P: 0.3587 0.4781 0.0088
└──
The data records stop here

How to read newzpaper for upsc:
I will like to tell it from Prelims, Mains and Interview point of view so that it will be easy for your future preparation.
In a day we have 24 hours and load
## Inserted here: crystal structures
+++
Entry 1:
Here is an optimized crystal structure of MnSb from the Materials Project. Energies are from PBE-GGA.

Geometry as POSCAR:
```
MnSb
1.0
-2.050 -3.551 0.000
-2.050 3.551 0.000
0.000 0.000 -5.612
Sb Mn
2 2
direct
0.667 0.333 0.250
0.333 0.667 0.750
0.000 0.000 0.000
0.000 0.000 0.500
```

Calculated values
Space group: No. 194
Formation energy, eV/atom: -0.13


Entry 2:
Here is an optimized crystal structure of Dy4Si3S12 from the Materials Project. Energies are from PBE-GGA.

Geometry as POSCAR:
```
Dy4Si3S12
1.0
11.110 0.000 0.000
0.000 9.937 0.000
0.000 6.020 16.091
Dy S Si
16 48 12
direct
0.763 0.971 0.709
0.872 0.392 0.635
0.372 0.608 0.865
0.481 0.483 0.626
0.237 0.029 0.291
0.519 0.517 0.374
0.351 0.814 0.059
0.263 0.029 0.791
0.981 0.517 0.874
0.851 0.186 0.441
0.128 0.608 0.365
0.628 0.392 0.135
0.149 0.814 0.559
0.737 0.971 0.209
0.649 0.186 0.941
0.019 0.483 0.126
0.479 0.305 0.027
0.528 0.117 0.230
0.972 0.117 0.730
0.166 0.657 0.186
0.660 0.043 0.551
0.958 0.436 0.314
0.042 0.564 0.686
0.021 0.305 0.527
0.790 0.603 0.136
0.945 0.683 0.974
0.742 0.405 0.486
0.279 0.310 0.692
0.472 0.883 0.770
0.290 0.397 0.364
0.726 0.980 0.871
0.721 0.690 0.308
0.542 0.436 0.814
0.065 0.055 0.407
0.555 0.683 0.474
0.274 0.020 0.129
0.348 0.766 0.316
0.160 0.957 0.949
0.979 0.695 0.473
0.242 0.595 0.014
0.935 0.945 0.593
0.435 0.055 0.907
0.334 0.657 0.686
0.779 0.690 0.808
0.652 0.234 0.684
0.226 0.020 0.629
0.840 0.043 0.051
0.848 0.234 0.184
0.834 0.343 0.814
0.774 0.980 0.371
0.152 0.766 0.816
0.666 0.343 0.314
0.221 0.310 0.192
0.028 0.883 0.270
0.758 0.405 0.986
0.055 0.317 0.026
0.210 0.397 0.864
0.710 0.603 0.636
0.445 0.317 0.526
0.565 0.945 0.093
0.258 0.595 0.514
0.521 0.695 0.973
0.458 0.564 0.186
0.340 0.957 0.449
0.286 0.474 0.233
0.880 0.244 0.059
0.049 0.099 0.619
0.951 0.901 0.381
0.620 0.244 0.559
0.380 0.756 0.441
0.786 0.526 0.267
0.714 0.526 0.767
0.120 0.756 0.941
0.549 0.901 0.881
0.451 0.099 0.119
0.214 0.474 0.733
```

Calculated values
Space group: No. 14
Formation energy, eV/atom: -1.72


Entry 3:
Here is an optimized crystal structure of K2MgS2O12 from the Materials Project. Energies are from PBE-GGA.

Geometry as POSCAR:
```
K2MgS2O12
1.0
-1.532 -7.546 0.855
2.744 -2.653 -6.741
9.106 -2.597 3.453
K O S Mg
4 24 4 2
direct
0.911 0.411 0.765
0.089 0.589 0.235
0.589 0.089 0.235
0.411 0.911 0.765
0.780 0.533 0.112
0.798 0.202 0.000
0.220 0.467 0.888
0.990 0.990 0.799
0.202 0.798 0.000
0.655 0.655 0.570
0.356 0.671 0.370
0.170 0.170 0.949
0.290 0.047 0.425
0.010 0.010 0.201
0.953 0.710 0.575
0.345 0.345 0.430
0.533 0.780 0.112
0.047 0.290 0.425
0.684 0.684 0.901
0.199 0.199 0.626
0.801 0.801 0.374
0.316 0.316 0.099
0.830 0.830 0.051
0.329 0.644 0.630
0.671 0.356 0.370
0.644 0.329 0.630
0.467 0.220 0.888
0.710 0.953 0.575
0.217 0.217 0.478
0.703 0.703 0.042
0.783 0.783 0.522
0.297 0.297 0.958
0.500 0.500 0.500
0.000 0.000 0.000
```

Calculated values
Space group: No. 12
Formation energy, eV/atom: -1.30


Entry 4:
+++
s of stuffs to prepare. Newspapers are very important part of the preparation and a significant one considering the amount of time one consumes while studying from it. Those who have understood the syllabus and pattern of the examination well, have less worries but a beginner (having less understanding of syllabus and pattern) takes substantial time to read and prepare from it. A person just started with UPSC preparation always finds it difficult and complains about spending too much time reading the newspapers. And it is a genuine concern because if one spends 4-5 hours for newspapers, then his/her concern is justified.
Here are some of the tips to follow:-
Never focus on political news.
Never read political remarks.
Never read local news.
Don’t forget to read “Editorial” and “Perspective” section.
Always focus on socio-economic issues like Women issues, Education or Health related issues, Issues or policies affecting vulnerable sections etc.
Always focus on issues of national and international importance.
Focus should be on political issues related to Indian Constitution, Legislative and Administrative processes.
Underline important quotes, statistical data (rank of country under any category, % of unemployment, etc) and claimed agenda of any political party in coming election.
Focus on Supreme Court or High Court verdicts.
Do not pay attention to deaths, awards or sports section unless significant like Padma Shree, Bharat Ratna, Oscar, Veer Chakra etc.
My Personal Suggestion:-
In many towns or remote place “The Hindu” is not available. Don’t panic. You can download it from any website. As per my perception, even if “The Hindu” is available offline, download this newspaper online and save it in your laptop or similar gadgets because you need to make notes of some of the important news and statistical data which will adorn and ramp up your answers and knowledge else you will definitely forget the things by the time of exam. If you are thinking of maintaining a separate notebook, I would like to tell you, it will kill your ton of precious time. And if you are thinking of doing underline in newspaper itself, then I would like to tell you, by the end of year, half of your newspaper could be missing or could be in garbage. So, it would be better if you download the newspaper and highlight the important points there only then you can overcome from these general problems and simultaneously maintain a notebook for writing just the heading of the topic you are highlighting and mention the date, so that you wouldn’t need to rummage through all the newspapers whenever you need a detail on any particular topic.
This is all about How to prepare exam related stuffs from newspapers. For a beginner, it will take sometime to extract relevant information from newspapers and you may find it difficult and annoying sometimes. Trust us, you will learn gradually and once you have mastered the basic concepts, your outlook towards this exam and preparation will change upside down. That will be the time when you will start loving your preparation process.
Try to indulge into it as soon as possible because if you do it just for the sake of preparation it will become a burden and you will always find yourself sick of not following endless timetables you have created and roam around the clock satiating yourself around number of hours you have put. This is a stark reality and happens to almost every single aspirantat some point of time.
Thank you.